Experienced and Certified in Hair Replacement as a My Choice Hair Provider

Our My Choice Hair Franchise Provides Non Surgical Hair Replacement for Medical and Non-Medical related Hair Loss in Men and Women

Advanced Hair Replacement for Men and Women Begins with a Free and Private Hair and Scalp Consultation from Our Experienced and Certified Specialists
- Most advanced hair replacement systems with solutions for an active life: shower, swim, sleep and exercise in our hair replacement systems.
- We help match you with the right system for your unique needs.
- Direct match to your existing hair, hair texture, lifestyle and budget.
- Undetectable and natural look using the newest Skin and Lace bases.
- Treatment for male and female pattern baldness, alopecia, and traction alopecia.
- Maintenance, removal, reinstallation of all hair solutions provided.
- Every solution is completely customized for your individual needs and perfect fit.
- Cancer patient hair prosthesis is most often covered by your health insurance provider.
- Custom made human hair toupees for perfect fit.
- Custom fit Transdermal Hair Pieces attached for very active and athletic lifestyles.
- Human and synthetic stock made hairpieces.
- Hair prosthesis for cancer patients.
- Easy maintenance attached hair pieces that remain attached for 30 days.
- Human and synthetic custom made wigs and hairpieces.
- Hair prosthesis for cancer patients.
- Easy to maintain hair pieces that remain attached for 30 days.
- Human hair extensions including clip in extensions.
- Human Hair Wiglets.
- Human Hair Toppers.
Hair Replacement FAQs
Will I need to shave my head to wear a hair system?
It is usually best if your hair system sits on a shaved surface. This allows the base materials to blend into your scalp for the most natural look. It also provides a perfect fit and comfort. Shaving in the area where the system is applied in your hair of thin density or baldness. With your system attached, no one will see that shaved area.
Will the system's hair color need to be refreshed?
The color of the hair system will fade over time. The frequency of hair color refreshing depends on the color of the hair. Black will rarely fade. A light ash blonde color might need refreshing two to three times a year.
____________
No. 1
Below is a geometry-optimized Y5Mg structure, with properties calculated at the PBE level.

Its energy relative to the elements is -0.003 eV/atom. For the calculated total energy, the calculation gives -5.659 eV/atom.

The structure belongs to space group Cm (No. 8); the cell edges are 12.815, 3.589 and 8.358 Å and the angles 90.00°, 103.82° and 90.00°. The inequivalent atoms are Y at (0.000, 0.000, 0.000), Y at (0.044, 0.000, 0.612), Y at (0.154, 0.500, 0.338), Y at (0.323, 0.000, 0.676), Y at (0.376, 0.000, 0.269) and Mg at (0.216, 0.500, 0.948).

***

No. 2
Below is a geometry-optimized Y2Mg structure, with properties calculated at the PBE level.

As for the total magnetization: 0.00 μB/f.u. Its energy relative to the elements is 0.009 eV/atom. For the calculated total energy, the calculation gives -4.835 eV/atom.

The structure belongs to space group Cmcm (No. 63); the cell edges are 3.717, 17.431 and 5.575 Å and the angles 90.00°, 90.00° and 90.00°. The inequivalent atoms are Y at (0.000, 0.060, 0.250), Y at (0.000, 0.385, 0.250) and Mg at (0.000, 0.277, 0.750).

***

No. 3
Below is a geometry-optimized YMgZn structure, with properties calculated at the PBE level.

Its energy relative to the elements is -0.295 eV/atom. For the calculated total energy, the calculation gives -3.403 eV/atom.
____________
-- The records of crystals stop here --
What is the cost of hair replacement systems?
For men, units range from $699 to $5,000 with higher costs associated with a program that includes six units/year with monthly service and reapplication. Women generally purchase a single hair replacement system ranging from $1200 to $1600. This includes the cost of the unit, fitting, cutting, and application.
Can any stylist handle my monthly trims?
If it is not convenient for you to come to our salon, your monthly trims can be managed by any professional stylist. If your system is simply covering the top of your head, your stylist simply pins it up out of the way while giving you your trims.
Integration units are cut like a normal head of hair is cut. If your stylist and you decide to shorten the length of your system, some designs require that they don’t cut any blunt lines in to the perimeter of the hair system. It is best if they cut that area with thinning shears.
What types of hair systems are more versatile?
Systems can be custom or stock hair pieces for men and women, unisex or designed for prosthetic chemo patients. From full cap to partial coverage, wigs, wiglets and top pieces can be ordered with lace front, skin part, see through front and/or front cutaway lace for a very natural hairline.
The type of base used determines the versatility of a system. A mesh type system on a shaved area is omni-directional and very natural looking. Integration systems are less versatile because hairs are tied on to a grid and most require that you decide on a definite area for your part.
A variety of caps and bases offer flexible methods of attachment that can include tape, clips, weave, microlinks or bonding. Cut away lace front can be attached to many systems for a natural look. The best type of system and method of attachment will depend on your unique requirements and budget, During your free consultation, we evaluate your type of hair loss and coverage needs. We assist you with options that best fit your needs and budget.
How long will it take to get my hair system?
Most orders will be completed in approximately 6 weeks from the design date. We do have stock items that can be customized for most clients. These systems are also more budget friendly.
Do you use human or synthetic hair?
We design systems with human hair with color blends and texture that exactly matches your own natural hair.
Why do I need two systems?
We recommend that all customers have two systems. This insures that you will always have one to wear while the other is being repaired or serviced. From time to time, you may require a hair addition, color treatment or new front.
What is the lifespan of your hair systems?
This will vary for men and women. Men’s units are thin and tend to wear out more quickly. For women, the hair systems that we provide will last 2 to 3 years depending upon the client’s lifestyle, styling and maintenance techniques. Having two systems will generaly extend the life of the hair piece.
How do your units differ from ordinary hair pieces?
Hair quality from hair pieces you buy in a wig store or even in most salons will vary considerably. Hair that is improperly processed can wear out quickly, rapidly losing color, hair, and degrading in texture. Even custom ordered human hair that looks and feels great initially can rapidly degrade.
The hair we use is very durable and lasts a long time with proper care and maintenance. There won’t be split ends. All hair pieces will loose some hair over time that will need to be replaced. Color corrections will need to be done occasionally but it’s a very easy process.
What type of attachment methods do you use?
We have different types of Tape Attachments, Perimeter Attaching Liquids & Gels, and all-over the scalp adhesives. The type of attachment will depend on the length of wear before removal, your activity level, the amount and density of hair, and the look and feel you want to achieve.
How long can my system stay on my head?
We prefer that clients come in for a monthly maintenance for best results. This assures that the system will always look clean and natural.
Will your hair systems look like my own hair?
Hair replacement technology has come a long way. The most important thing to remember is that we design and produce hair systems that look like your own hair. We offer solutions that are so natural looking that they are virtually undetectable. They can look like the hair is growing right out of your scalp.
Is my own hair color treatments included?
Hair salon services that include color and/or texture are an additional charge. These services allow us to match your own hair to the unit for the most natural look.